Contents
____________
For Y2MgCd, a crystal structure in the Materials Project, relaxed with GGA-PBE gives the computed powder X-ray diffraction pattern in this record (Cu Kα (weighted mean of Kα1 and Kα2)).

Cell and atoms:
Unit cell a=7.551 b=7.551 c=7.551 alpha=90.00 beta=90.00 gamma=90.00
Space group Fm-3m (No. 225)
One atom of each set of equivalent atoms:
Y  0.250  0.250  0.250 x8
Mg  0.000  0.000  0.000 x4
Cd  0.000  0.000  0.500 x4

Principal peaks in the range 10° ≤ 2θ ≤ 80°, in order of rising 2θ:
(hkl)  2θ/deg  I_rel
1 1 1  20.4  18
2 0 0  23.6  2
2 2 0  33.6  100
3 1 1  39.6  10
4 0 0  48.2  18
3 3 1  52.9  4
4 2 2  60.0  35
5 1 1  64.1  3
4 4 0  70.6  11
5 3 1  74.3  3

For Li2TlPt, a crystal structure in the Materials Project, relaxed with GGA-PBE gives the computed powder X-ray diffraction pattern in this record (Cu Kα (weighted mean of Kα1 and Kα2)).

Cell and atoms:
Unit cell a=6.349 b=6.349 c=6.349 alpha=90.00 beta=90.00 gamma=90.00
Space group Fm-3m (No. 225)
One atom of each set of equivalent atoms:
Li  0.250  0.250  0.250 x8
Tl  0.000  0.000  0.000 x4
Pt  0.000  0.000  0.500 x4

Principal peaks in the range 10° ≤ 2θ ≤ 80°, in order of rising 2θ:
(hkl)  2θ/deg  I_rel
2 0 0  28.1  100
2 2 0  40.2  87
2 2 2  49.8  28
4 0 0  58.1  15
4 2 0  65.8  37
4 2 2  73.0  31

For TbMgPd, a crystal structure in the Materials Project, relaxed with GGA-PBE gives the computed powder X-ray diffraction pattern in this record (Cu Kα (weighted mean of Kα1 and Kα2)).

Cell and atoms:
Unit cell a=7.5528 b=7.5528 c=3.9990 alpha=90.00 beta=90.00 gamma=120.00
Space group P-62m (No. 189)
One atom of each set of equivalent atoms:
Tb  0.0000  0.5880  0.0000 x3
Mg  0.0000  0.2461  0.5000 x3
Pd  0.0000  0.0000  0.0000 x1
Pd  0.3333  0.6667  0.5000 x2

Principal peaks in the range 10° ≤ 2θ ≤ 80°, in order of rising 2θ:
(hkl)  2θ/deg  I_rel
1 1 0  23.6  37
2 0 0  27.3  25
1 1 1  32.6  88
2 0 1  35.5  100
2 1 0  36.3  25
3 0 0  41.4  31
2 1 1  43.0  25
0 0 2  45.4  22
3 1 1  55.6  26
3 2 1  66.6  25

For Sr2DyCu3Pb2O8, a crystal structure in the Materials Project, relaxed with GGA-PBE gives the computed powder X-ray diffraction pattern in this record (Cu Kα (weighted mean of Kα1 and Kα2)).

Cell and atoms:
Unit cell a=3.834 b=3.834 c=16.031 alpha=90.00 beta=90.00 gamma=90.00
Space group P4/mmm (No. 123)
One atom of each set of equivalent atoms:
Sr  0.000  0.000  0.220 x2
Dy  0.000  0.000  0.000 x1
Cu  0.000  0.000  0.500 x1
Cu  0.500  0.500  0.104 x2
Pb  0.500  0.500  0.387 x2
O  0.000  0.000  0.384 x2
O  0.000  0.500  0.091 x4
O  0.500  0.500  0.250 x2

Principal peaks in the range 10° ≤ 2θ ≤ 80°, in order of rising 2θ:
(hkl)  2θ/deg  I_rel
0 0 2  11.0  12
1 0 1  23.9  28
1 0 4  32.3  100
1 1 0  33.0  67
1 0 6  41.2  16
1 1 5  43.7  21
2 0 0  47.4  31
1 1 8  57.2  15
2 1 4  58.6  38
3 1 0  79.0  11

For Tl2Re3Se6, a crystal structure in the Materials Project, relaxed with GGA-PBE gives the computed powder X-ray diffraction pattern in this record (Cu Kα (weighted mean of Kα1 and Kα2)).

Cell and atoms:
Unit cell a=17.592 b=10.110 c=12.494 alpha=90.00 beta=90.57 gamma=90.00
Space group C2/c (No. 15)
One atom of each set of equivalent atoms:
Tl  0.000  0.088  0.250 x4
Tl  0.000  0.284  0.750 x4
Tl  0.103  0.252  0.486 x8
Re  0.161  0.347  0.025 x8
Re  0.206  0.179  0.873 x8
Re  0.210  0.108  0.080 x8
Se  0.037  0.473  0.080 x8
Se  0.084  0.138  0.978 x8
Se  0.144  0.086  0.693 x8
Se  0.161  0.413  0.829 x8
Se  0.169  0.275  0.220 x8
Se  0.245  0.453  0.568 x8

Principal peaks in the range 10° ≤ 2θ ≤ 80°, in order of rising 2θ:
(hkl)  2θ/deg  I_rel
2 0 0  10.1  29
1 1 -1  12.3  100
0 2 0  17.5  27
3 1 1  18.9  22
1 3 1  27.9  23
2 0 4  30.4  25
3 3 1  31.5  27
3 3 -3  37.5  29
4 2 5  45.6  29
5 3 4  47.5  23

For TiBi2O5, a crystal structure in the Materials Project, relaxed with GGA-PBE gives the computed powder X-ray diffraction pattern in this record (Cu Kα (weighted mean of Kα1 and Kα2)).

Cell and atoms:
____________

To do
Echo the calculation results further up character by character.

Reply
For Y2MgCd, a crystal structure in the Materials Project, relaxed with GGA-PBE gives the computed powder X-ray diffraction pattern in this record (Cu Kα (weighted mean of Kα1 and Kα2)).

Cell and atoms:
Unit cell a=7.551 b=7.551 c=7.551 alpha=90.00 beta=90.00 gamma=90.00
Space group Fm-3m (No. 225)
One atom of each set of equivalent atoms:
Y  0.250  0.250  0.250 x8
Mg  0.000  0.000  0.000 x4
Cd  0.000  0.000  0.500 x4

Principal peaks in the range 10° ≤ 2θ ≤ 80°, in order of rising 2θ:
(hkl)  2θ/deg  I_rel
1 1 1  20.4  18
2 0 0  23.6  2
2 2 0  33.6  100
3 1 1  39.6  10
4 0 0  48.2  18
3 3 1  52.9  4
4 2 2  60.0  35
5 1 1  64.1  3
4 4 0  70.6  11
5 3 1  74.3  3

For Li2TlPt, a crystal structure in the Materials Project, relaxed with GGA-PBE gives the computed powder X-ray diffraction pattern in this record (Cu Kα (weighted mean of Kα1 and Kα2)).

Cell and atoms:
Unit cell a=6.349 b=6.349 c=6.349 alpha=90.00 beta=90.00 gamma=90.00
Space group Fm-3m (No. 225)
One atom of each set of equivalent atoms:
Li  0.250  0.250  0.250 x8
Tl  0.000  0.000  0.000 x4
Pt  0.000  0.000  0.500 x4

Principal peaks in the range 10° ≤ 2θ ≤ 80°, in order of rising 2θ:
(hkl)  2θ/deg  I_rel
2 0 0  28.1  100
2 2 0  40.2  87
2 2 2  49.8  28
4 0 0  58.1  15
4 2 0  65.8  37
4 2 2  73.0  31

For TbMgPd, a crystal structure in the Materials Project, relaxed with GGA-PBE gives the computed powder X-ray diffraction pattern in this record (Cu Kα (weighted mean of Kα1 and Kα2)).

Cell and atoms:
Unit cell a=7.5528 b=7.5528 c=3.9990 alpha=90.00 beta=90.00 gamma=120.00
Space group P-62m (No. 189)
One atom of each set of equivalent atoms:
Tb  0.0000  0.5880  0.0000 x3
Mg  0.0000  0.2461  0.5000 x3
Pd  0.0000  0.0000  0.0000 x1
Pd  0.3333  0.6667  0.5000 x2

Principal peaks in the range 10° ≤ 2θ ≤ 80°, in order of rising 2θ:
(hkl)  2θ/deg  I_rel
1 1 0  23.6  37
2 0 0  27.3  25
1 1 1  32.6  88
2 0 1  35.5  100
2 1 0  36.3  25
3 0 0  41.4  31
2 1 1  43.0  25
0 0 2  45.4  22
3 1 1  55.6  26
3 2 1  66.6  25

For Sr2DyCu3Pb2O8, a crystal structure in the Materials Project, relaxed with GGA-PBE gives the computed powder X-ray diffraction pattern in this record (Cu Kα (weighted mean of Kα1 and Kα2)).

Cell and atoms:
Unit cell a=3.834 b=3.834 c=16.031 alpha=90.00 beta=90.00 gamma=90.00
Space group P4/mmm (No. 123)
One atom of each set of equivalent atoms:
Sr  0.000  0.000  0.220 x2
Dy  0.000  0.000  0.000 x1
Cu  0.000  0.000  0.500 x1
Cu  0.500  0.500  0.104 x2
Pb  0.500  0.500  0.387 x2
O  0.000  0.000  0.384 x2
O  0.000  0.500  0.091 x4
O  0.500  0.500  0.250 x2

Principal peaks in the range 10° ≤ 2θ ≤ 80°, in order of rising 2θ:
(hkl)  2θ/deg  I_rel
0 0 2  11.0  12
1 0 1  23.9  28
1 0 4  32.3  100
1 1 0  33.0  67
1 0 6  41.2  16
1 1 5  43.7  21
2 0 0  47.4  31
1 1 8  57.2  15
2 1 4  58.6  38
3 1 0  79.0  11

For Tl2Re3Se6, a crystal structure in the Materials Project, relaxed with GGA-PBE gives the computed powder X-ray diffraction pattern in this record (Cu Kα (weighted mean of Kα1 and Kα2)).

Cell and atoms:
Unit cell a=17.592 b=10.110 c=12.494 alpha=90.00 beta=90.57 gamma=90.00
Space group C2/c (No. 15)
One atom of each set of equivalent atoms:
Tl  0.000  0.088  0.250 x4
Tl  0.000  0.284  0.750 x4
Tl  0.103  0.252  0.486 x8
Re  0.161  0.347  0.025 x8
Re  0.206  0.179  0.873 x8
Re  0.210  0.108  0.080 x8
Se  0.037  0.473  0.080 x8
Se  0.084  0.138  0.978 x8
Se  0.144  0.086  0.693 x8
Se  0.161  0.413  0.829 x8
Se  0.169  0.275  0.220 x8
Se  0.245  0.453  0.568 x8

Principal peaks in the range 10° ≤ 2θ ≤ 80°, in order of rising 2θ:
(hkl)  2θ/deg  I_rel
2 0 0  10.1  29
1 1 -1  12.3  100
0 2 0  17.5  27
3 1 1  18.9  22
1 3 1  27.9  23
2 0 4  30.4  25
3 3 1  31.5  27
3 3 -3  37.5  29
4 2 5  45.6  29
5 3 4  47.5  23

For TiBi2O5, a crystal structure in the Materials Project, relaxed with GGA-PBE gives the computed powder X-ray diffraction pattern in this record (Cu Kα (weighted mean of Kα1 and Kα2)).

Cell and atoms: